**Contents:**
┌──
Here is C7H12N2O4 in the gas phase from the Open Molecules 2025 dataset. Energies are from ωB97M-V with the def2-TZVPD basis set.

**Highest occupied orbital energy**: -8.7 eV
**Energy relative to the best compared isomer or geometry (same formula, charge and spin)**: 408.2 kJ/mol
**Gap between HOMO and LUMO**: 0.34695 hartree

```
! wB97M-V def2-TZVPD RIJCOSX def2/J DEFGRID3
* xyz 0 1
C -0.369 -0.462 -0.293
C 0.771 -0.969 -0.629
C -1.075 0.870 -0.199
C 1.721 1.686 0.458
C 0.925 -2.488 -0.707
C -2.596 -1.125 0.697
C -1.786 -0.491 -0.504
N 1.947 0.979 -0.742
N 2.448 1.193 1.534
O -1.409 1.577 0.953
O -0.835 1.672 -1.256
O 2.046 -0.436 -0.753
O 0.976 2.622 0.569
H 0.191 -3.001 -1.355
H 0.715 -2.904 0.292
H 1.955 -2.632 -0.966
H -2.410 -2.225 0.465
H -3.641 -0.750 0.686
H -2.214 -0.613 1.602
H -2.213 -0.654 -1.458
H 1.442 1.352 -1.602
H 2.372 1.888 2.285
H 3.344 0.713 1.408
H -0.598 2.113 1.060
H -1.707 2.084 -1.544
*
```


Here is a gas-phase ion, C7H12N2O4PS (charge -1) from the Open Molecules 2025 dataset. Energies are from ωB97M-V with the def2-TZVPD basis set.

**Highest occupied orbital energy (alpha / beta)**: -2.9 / -4.6 eV
**⟨S²⟩**: 2.015
**Gap between HOMO and LUMO (alpha / beta)**: 0.22630 / 0.24891 hartree

```
! wB97M-V def2-TZVPD RIJCOSX def2/J DEFGRID3
* xyz -1 3
C 0.118 -0.456 -0.363
C 0.252 -1.225 0.763
C 2.300 -0.034 0.950
C -2.220 -0.684 -1.002
C -1.272 1.649 -0.623
C 1.545 -1.634 2.775
C -0.940 0.185 -1.183
N 1.880 0.640 -0.055
N 1.438 -0.906 1.526
O -0.391 -2.252 1.157
O 3.434 0.114 1.532
O 2.490 2.024 -2.205
O 4.052 1.853 -0.244
P 2.611 2.102 -0.608
S 1.606 3.667 -0.012
H -2.559 -0.756 0.067
H -2.169 -1.698 -1.357
H -2.986 -0.237 -1.637
H -1.957 2.143 -1.331
H -0.432 2.223 -0.452
H -1.798 1.492 0.318
H 1.738 -0.925 3.584
H 0.638 -2.192 2.802
H 2.357 -2.327 2.720
H -0.705 0.230 -2.230
H 1.491 1.820 -2.252
H 4.069 0.514 0.882
*
```


Here is C7H12N2O5 in the gas phase from the Open Molecules 2025 dataset. Energies are from ωB97M-V with the def2-TZVPD basis set.

**Highest occupied orbital energy**: -9.5 eV
**Energy relative to the best compared isomer or geometry (same formula, charge and spin)**: 326.3 kJ/mol
**Gap between HOMO and LUMO**: 0.35306 hartree

```
! wB97M-V def2-TZVPD RIJCOSX def2/J DEFGRID3
* xyz 0 1
C -1.142 -0.561 1.234
C 0.072 -0.896 0.282
C -2.539 -1.072 0.507
C -2.971 -0.353 -0.858
C 1.907 0.228 -0.622
C 3.160 -0.618 -0.400
C 1.889 1.737 -0.609
H -1.365 1.360 0.739
H -0.815 1.007 2.320
H -1.038 -1.174 2.053
H -2.229 -2.102 0.530
H -3.468 -1.061 1.203
H -2.268 1.337 -1.610
H 0.577 0.892 0.870
H 1.610 -0.278 -1.657
H 1.965 2.302 0.437
H 0.822 1.942 -1.014
H 2.704 2.433 -1.179
H 2.143 -2.092 -0.872
N -1.355 0.782 1.555
N 0.979 0.029 0.456
O 0.146 -2.009 -0.274
O -4.006 -0.446 -1.450
O -1.978 0.580 -1.036
O 4.191 0.047 -0.127
O 3.008 -2.015 -0.477
*
```


Here is C7H12N2O5S in the gas phase from the Open Molecules 2025 dataset. Energies are from ωB97M-V with the def2-TZVPD basis set.

**Highest occupied orbital energy**: -9.8 eV
**Energy relative to the best compared isomer or geometry (same formula, charge and spin)**: 620.9 kJ/mol
**Gap between HOMO and LUMO**: 0.36459 hartree

```
! wB97M-V def2-TZVPD RIJCOSX def2/J DEFGRID3
* xyz 0 1
C -1.823 0.952 0.316
C -0.367 0.579 0.594
C -2.659 -0.054 -0.597
C -2.948 -1.255 0.184
C 1.797 0.117 -0.159
C 1.323 -1.265 -0.314
C 2.802 0.099 0.838
H -2.845 2.804 -0.322
H -0.782 2.733 0.101
H -2.542 0.978 1.245
H -3.646 0.456 -0.786
H -2.091 0.032 -1.543
H -1.031 -1.873 -0.318
H 0.350 1.667 -1.008
H 2.515 0.224 -1.074
H 2.742 1.100 1.228
H 2.619 -0.597 1.627
H 4.987 0.850 -0.603
H 1.773 -2.988 -0.062
N -1.761 2.221 -0.511
N 0.777 1.195 -0.079
O -0.240 -0.409 1.270
O -3.984 -1.372 0.932
O -2.115 -2.281 -0.219
O 0.243 -1.518 -0.745
O 2.362 -2.088 -0.167
S 4.544 -0.306 0.173
*
```


Here is C7H12N2S in the gas phase from the Open Molecules 2025 dataset. Energies are from ωB97M-V with the def2-TZVPD basis set.

**Highest occupied orbital energy**: -8.6 eV
└──

**Work order:**
It remains to transcribe the data earlier on from the line with "0.282" to the end with every line break kept.

**Solution:**
C 0.072 -0.896 0.282
C -2.539 -1.072 0.507
C -2.971 -0.353 -0.858
C 1.907 0.228 -0.622
C 3.160 -0.618 -0.400
C 1.889 1.737 -0.609
H -1.365 1.360 0.739
H -0.815 1.007 2.320
H -1.038 -1.174 2.053
H -2.229 -2.102 0.530
H -3.468 -1.061 1.203
H -2.268 1.337 -1.610
H 0.577 0.892 0.870
H 1.610 -0.278 -1.657
H 1.965 2.302 0.437
H 0.822 1.942 -1.014
H 2.704 2.433 -1.179
H 2.143 -2.092 -0.872
N -1.355 0.782 1.555
N 0.979 0.029 0.456
O 0.146 -2.009 -0.274
O -4.006 -0.446 -1.450
O -1.978 0.580 -1.036
O 4.191 0.047 -0.127
O 3.008 -2.015 -0.477
*
```


Here is C7H12N2O5S in the gas phase from the Open Molecules 2025 dataset. Energies are from ωB97M-V with the def2-TZVPD basis set.

**Highest occupied orbital energy**: -9.8 eV
**Energy relative to the best compared isomer or geometry (same formula, charge and spin)**: 620.9 kJ/mol
**Gap between HOMO and LUMO**: 0.36459 hartree

```
! wB97M-V def2-TZVPD RIJCOSX def2/J DEFGRID3
* xyz 0 1
C -1.823 0.952 0.316
C -0.367 0.579 0.594
C -2.659 -0.054 -0.597
C -2.948 -1.255 0.184
C 1.797 0.117 -0.159
C 1.323 -1.265 -0.314
C 2.802 0.099 0.838
H -2.845 2.804 -0.322
H -0.782 2.733 0.101
H -2.542 0.978 1.245
H -3.646 0.456 -0.786
H -2.091 0.032 -1.543
H -1.031 -1.873 -0.318
H 0.350 1.667 -1.008
H 2.515 0.224 -1.074
H 2.742 1.100 1.228
H 2.619 -0.597 1.627
H 4.987 0.850 -0.603
H 1.773 -2.988 -0.062
N -1.761 2.221 -0.511
N 0.777 1.195 -0.079
O -0.240 -0.409 1.270
O -3.984 -1.372 0.932
O -2.115 -2.281 -0.219
O 0.243 -1.518 -0.745
O 2.362 -2.088 -0.167
S 4.544 -0.306 0.173
*
```


Here is C7H12N2S in the gas phase from the Open Molecules 2025 dataset. Energies are from ωB97M-V with the def2-TZVPD basis set.

**Highest occupied orbital energy**: -8.6 eV